Please quote everything below exactly.

~~~
Entry 1:
Here is PrS2NO12 after structural relaxation from the Materials Project database. Energies are from PBE-GGA.

Computed properties:
Total magnetization ... 5.9 μB/f.u.
E ... -5.644 eV/atom

Cell and atoms, written as extended XYZ:
```
64
Lattice="19.555 0.000 0.000 0.000 6.554 0.000 0.000 1.192 9.019" Properties=species:S:1:pos:R:3 pbc="T T T"
O 16.309 4.191 1.744
O 17.411 2.850 7.621
O 3.799 2.495 0.610
O 13.577 4.655 3.899
O 11.188 2.383 0.843
O 19.490 5.736 2.011
O 15.755 5.251 8.409
O 2.144 4.897 1.398
O 0.188 2.430 1.286
O 13.024 4.787 6.254
O 12.186 6.347 8.527
O 9.842 6.332 6.521
O 9.966 4.720 3.223
O 8.367 5.363 8.176
O 0.665 5.712 6.793
O 19.366 5.316 7.733
O 9.112 5.116 2.284
O 4.482 4.078 3.450
O 14.260 3.072 1.059
O 5.295 4.674 7.959
O 5.978 3.091 5.120
O 7.368 1.399 0.492
O 2.409 1.995 5.001
O 14.945 6.043 5.382
O 15.073 3.668 5.569
O 8.078 5.721 2.658
O 4.610 1.703 3.637
O 9.713 1.415 2.498
O 10.443 2.630 6.735
O 7.844 1.005 7.200
O 17.621 7.337 6.328
O 6.531 2.959 2.765
O 11.921 2.254 3.112
O 11.711 6.741 1.819
O 17.856 1.429 1.851
O 18.889 2.034 2.225
O 11.476 2.025 6.361
O 18.144 2.979 5.352
O 7.633 5.493 5.907
O 5.167 2.299 8.147
O 14.388 5.447 0.872
O 17.146 5.751 4.017
O 3.246 3.555 7.274
O 1.699 6.317 7.168
O 1.934 0.409 2.691
O 9.589 3.027 5.795
O 1.411 4.767 3.667
O 0.065 2.011 7.007
S 18.217 2.121 6.593
S 5.447 2.957 3.747
S 4.330 3.553 8.257
S 15.225 4.193 0.762
S 14.107 4.789 5.271
S 1.338 5.625 2.425
S 8.439 6.221 6.935
S 11.116 1.525 2.084
Pr 16.999 5.007 6.413
Pr 2.556 2.739 2.606
Pr 12.333 4.411 1.903
Pr 7.221 3.336 7.115
N 5.886 5.503 1.289
N 3.892 6.099 5.798
N 15.663 1.647 3.221
N 13.669 2.244 7.730
```

Entry 2:
Here is PrS3N3O9 after structural relaxation from the Materials Project database. Energies are from PBE-GGA.

Computed properties:
MP2020-corrected energy ... -6.561 eV per atom
Total magnetization ... 6.0 μB/f.u.
E ... -6.175 eV/atom

Cell and atoms, written as extended XYZ:
```
32
Lattice="-0.057 6.712 -7.364 -6.644 0.661 7.395 3.739 3.386 3.057" Properties=species:S:1:pos:R:3 pbc="T T T"
O -1.706 6.302 0.304
O -0.610 7.474 -2.334
O -2.156 6.075 -3.598
O -0.866 3.548 -2.377
O 2.210 7.232 -2.178
O 0.289 5.856 4.048
O -1.678 1.666 3.052
O -3.642 5.811 4.203
O -3.691 5.381 1.401
O 0.729 5.378 1.688
O -0.807 4.684 6.687
O -5.172 3.527 5.266
O 0.680 4.947 -1.114
O -3.252 4.902 -0.959
O -2.097 7.211 5.466
O -1.284 9.092 0.036
O -2.352 3.285 5.423
O -1.256 4.457 2.784
N 0.047 6.672 -4.602
N -3.010 4.087 7.691
N -0.040 2.759 -0.161
N 0.999 3.566 3.365
N -3.961 7.193 -0.276
N -2.922 8.000 3.249
Pr 0.551 7.234 -0.151
Pr -3.514 3.525 3.240
S 0.340 3.587 -1.543
S -1.202 7.188 -3.646
S -3.303 7.172 4.632
S -3.093 5.850 0.150
S -1.760 3.571 6.734
S 0.130 4.909 2.939
```

Entry 3:
Here is Pr3Se2NO after structural relaxation from the Materials Project database. Energies are from PBE-GGA.

Computed properties:
MP2020-corrected energy ... -7.183 eV per atom
Total magnetization ... 0.0 μB/f.u.
E ... -7.084 eV/atom

Cell and atoms, written as extended XYZ:
```
21
Lattice="-1.131 -3.716 1.315 7.329 0.058 6.466 -8.947 3.353 8.173" Properties=species:S:1:pos:R:3 pbc="T T T"
O 0.713 -3.698 2.953
O -4.540 0.972 11.628
O 1.710 -1.278 4.254
Pr 0.659 0.465 8.273
Pr 3.782 -1.437 5.587
Pr 2.955 -1.695 10.540
Pr -0.053 -2.752 4.966
Pr -2.733 2.466 11.010
Pr -6.538 1.123 10.337
Pr -3.412 -0.765 7.691
Pr -1.672 3.408 14.585
~~~

Entry 1:
Here is PrS2NO12 after structural relaxation from the Materials Project database. Energies are from PBE-GGA.

Computed properties:
Total magnetization ... 5.9 μB/f.u.
E ... -5.644 eV/atom

Cell and atoms, written as extended XYZ:
```
64
Lattice="19.555 0.000 0.000 0.000 6.554 0.000 0.000 1.192 9.019" Properties=species:S:1:pos:R:3 pbc="T T T"
O 16.309 4.191 1.744
O 17.411 2.850 7.621
O 3.799 2.495 0.610
O 13.577 4.655 3.899
O 11.188 2.383 0.843
O 19.490 5.736 2.011
O 15.755 5.251 8.409
O 2.144 4.897 1.398
O 0.188 2.430 1.286
O 13.024 4.787 6.254
O 12.186 6.347 8.527
O 9.842 6.332 6.521
O 9.966 4.720 3.223
O 8.367 5.363 8.176
O 0.665 5.712 6.793
O 19.366 5.316 7.733
O 9.112 5.116 2.284
O 4.482 4.078 3.450
O 14.260 3.072 1.059
O 5.295 4.674 7.959
O 5.978 3.091 5.120
O 7.368 1.399 0.492
O 2.409 1.995 5.001
O 14.945 6.043 5.382
O 15.073 3.668 5.569
O 8.078 5.721 2.658
O 4.610 1.703 3.637
O 9.713 1.415 2.498
O 10.443 2.630 6.735
O 7.844 1.005 7.200
O 17.621 7.337 6.328
O 6.531 2.959 2.765
O 11.921 2.254 3.112
O 11.711 6.741 1.819
O 17.856 1.429 1.851
O 18.889 2.034 2.225
O 11.476 2.025 6.361
O 18.144 2.979 5.352
O 7.633 5.493 5.907
O 5.167 2.299 8.147
O 14.388 5.447 0.872
O 17.146 5.751 4.017
O 3.246 3.555 7.274
O 1.699 6.317 7.168
O 1.934 0.409 2.691
O 9.589 3.027 5.795
O 1.411 4.767 3.667
O 0.065 2.011 7.007
S 18.217 2.121 6.593
S 5.447 2.957 3.747
S 4.330 3.553 8.257
S 15.225 4.193 0.762
S 14.107 4.789 5.271
S 1.338 5.625 2.425
S 8.439 6.221 6.935
S 11.116 1.525 2.084
Pr 16.999 5.007 6.413
Pr 2.556 2.739 2.606
Pr 12.333 4.411 1.903
Pr 7.221 3.336 7.115
N 5.886 5.503 1.289
N 3.892 6.099 5.798
N 15.663 1.647 3.221
N 13.669 2.244 7.730
```

Entry 2:
Here is PrS3N3O9 after structural relaxation from the Materials Project database. Energies are from PBE-GGA.

Computed properties:
MP2020-corrected energy ... -6.561 eV per atom
Total magnetization ... 6.0 μB/f.u.
E ... -6.175 eV/atom

Cell and atoms, written as extended XYZ:
```
32
Lattice="-0.057 6.712 -7.364 -6.644 0.661 7.395 3.739 3.386 3.057" Properties=species:S:1:pos:R:3 pbc="T T T"
O -1.706 6.302 0.304
O -0.610 7.474 -2.334
O -2.156 6.075 -3.598
O -0.866 3.548 -2.377
O 2.210 7.232 -2.178
O 0.289 5.856 4.048
O -1.678 1.666 3.052
O -3.642 5.811 4.203
O -3.691 5.381 1.401
O 0.729 5.378 1.688
O -0.807 4.684 6.687
O -5.172 3.527 5.266
O 0.680 4.947 -1.114
O -3.252 4.902 -0.959
O -2.097 7.211 5.466
O -1.284 9.092 0.036
O -2.352 3.285 5.423
O -1.256 4.457 2.784
N 0.047 6.672 -4.602
N -3.010 4.087 7.691
N -0.040 2.759 -0.161
N 0.999 3.566 3.365
N -3.961 7.193 -0.276
N -2.922 8.000 3.249
Pr 0.551 7.234 -0.151
Pr -3.514 3.525 3.240
S 0.340 3.587 -1.543
S -1.202 7.188 -3.646
S -3.303 7.172 4.632
S -3.093 5.850 0.150
S -1.760 3.571 6.734
S 0.130 4.909 2.939
```

Entry 3:
Here is Pr3Se2NO after structural relaxation from the Materials Project database. Energies are from PBE-GGA.

Computed properties:
MP2020-corrected energy ... -7.183 eV per atom
Total magnetization ... 0.0 μB/f.u.
E ... -7.084 eV/atom

Cell and atoms, written as extended XYZ:
```
21
Lattice="-1.131 -3.716 1.315 7.329 0.058 6.466 -8.947 3.353 8.173" Properties=species:S:1:pos:R:3 pbc="T T T"
O 0.713 -3.698 2.953
O -4.540 0.972 11.628
O 1.710 -1.278 4.254
Pr 0.659 0.465 8.273
Pr 3.782 -1.437 5.587
Pr 2.955 -1.695 10.540
Pr -0.053 -2.752 4.966
Pr -2.733 2.466 11.010
Pr -6.538 1.123 10.337
Pr -3.412 -0.765 7.691
Pr -1.672 3.408 14.585